**Contents**
+++
Entry 1:
{"formula": "C2H6NO2S", "method": "ωB97M-V/def2-TZVPD", "e_homo_ev": -4.00, "e_tot_ev": -18590.5811, "mol_weight_g_mol": 108.1, "homo_lumo_gap_ev": 8.214, "charge": -1, "species": ["C", "C", "N", "O", "O", "S", "H", "H", "H", "H", "H", "H"], "coordinates": [[-0.3044, 1.1263, 1.1946], [0.4332, -1.3331, -1.0393], [0.6087, 0.0491, 1.3983], [1.5860, -2.3590, 1.2504], [-1.1102, -1.8526, 1.0281], [0.2401, -1.3333, 0.8098], [0.0753, 1.8145, 0.4178], [-0.3979, 1.7054, 2.1211], [-1.3094, 0.7972, 0.8989], [0.1061, -2.3033, -1.3876], [-0.1731, -0.5390, -1.4609], [1.4808, -1.1706, -1.2329]]}

Entry 2:
{"formula": "C2H6NO3Si", "method": "ωB97M-V/def2-TZVPD", "e_homo_ev": -1.63, "e_tot_ev": -17679.4637, "mol_weight_g_mol": 120.2, "homo_lumo_gap_ev": 5.362, "charge": -1, "species": ["C", "C", "N", "O", "O", "O", "Si", "H", "H", "H", "H", "H", "H"], "coordinates": [[-2.6684, -0.3385, -0.4197], [0.2068, 1.4979, 0.8098], [-0.3687, 0.2340, 1.0832], [-2.5137, 0.4687, -1.2521], [-3.1704, -1.1491, 0.2359], [0.2317, -0.7450, 0.2511], [1.5152, -1.2961, -0.4366], [-0.2135, 2.1723, 1.4361], [1.2618, 1.5771, 1.0015], [0.0458, 1.8152, -0.1766], [2.8029, -0.6653, 0.0878], [1.8371, -0.8607, -1.8730], [1.0334, -2.7106, -0.7474]]}

Entry 3:
{"formula": "C2H6NOS", "method": "ωB97M-V/def2-TZVPD", "e_homo_ev": -2.89, "e_tot_ev": -16545.1750, "mol_weight_g_mol": 92.1, "homo_lumo_gap_ev": 7.030, "charge": -1, "species": ["C", "S", "H", "H", "H", "C", "N", "O", "H", "H", "H"], "coordinates": [[-2.1003, 1.6563, -1.1245], [-0.5933, 0.6685, -0.7617], [-2.0801, 2.6812, -0.7657], [-2.9557, 1.0915, -0.7611], [-2.1996, 1.7514, -2.2077], [2.2294, -1.4036, 1.2397], [1.1818, -1.2876, 0.4129], [2.4194, -2.3069, 2.0403], [2.9864, -0.6262, 1.0903], [0.3758, -1.8613, 0.6269], [0.7361, -0.3633, 0.2106]]}

Entry 4:
{"formula": "C2H6NP", "method": "ωB97M-V/def2-TZVPD", "e_homo_ev": -8.56, "e_tot_ev": -12945.7112, "mol_weight_g_mol": 75.1, "homo_lumo_gap_ev": 7.995, "species": ["C", "C", "N", "P", "H", "H", "H", "H", "H", "H"], "coordinates": [[0.1956, 0.3278, -1.1514], [1.0222, 0.8305, -0.0111], [0.4467, -0.4407, -0.0362], [-1.2623, -0.7510, 1.5353], [-0.7719, 0.7574, -1.1020], [0.4922, 0.0636, -2.1864], [2.0856, 0.8144, -0.2979], [0.5430, 1.6589, 0.7171], [-0.4006, -1.8209, 1.8613], [-2.3503, -1.4401, 0.6714]]}

Entry 5:
{"formula": "C2H6NP", "method": "ωB97M-V/def2-TZVPD", "e_homo_ev": [-9.02, -7.89], "e_tot_ev": -12944.6016, "mol_weight_g_mol": 75.1, "homo_lumo_gap_ev": [8.892, 7.087], "species": ["C", "C", "N", "P", "H", "H", "H", "H", "H", "H"], "coordinates": [[-0.2630, -1.3057, -0.0116], [-1.2397, -0.2841, 0.2674], [0.2587, 2.0849, 0.1907], [1.4791, 1.3399, -0.3071], [0.7587, -0.8286, -0.4616], [0.1575, -1.6480, 0.9628], [-0.4533, -1.8697, -0.9328], [-1.0846, 0.1200, 1.2540], [-1.9341, 0.0646, -0.4187], [2.3207, 2.3267, -0.5431]]}

Entry 6:
{"formula": "C2H6NS2", "method": "ωB97M-V/def2-TZVPD", "e_homo_ev": -14.19, "e_tot_ev": -25322.6380, "mol_weight_g_mol": 108.2, "homo_lumo_gap_ev": 10.448, "charge": 1, "species": ["C", "C", "N", "S", "S", "H", "H", "H", "H", "H", "H"], "coordinates": [[-0.5202, 0.0380, -0.5205], [0.5612, 0.3191, 0.4513], [0.0350, -1.0919, 0.1429], [-2.4120, 0.3898, -0.0001], [2.1304, 0.7693, -0.2415], [-0.1914, 0.4077, -1.4396], [0.2147, 0.7094, 1.4017], [-0.5796, -1.5098, 0.8462], [0.7370, -1.7247, -0.4294], [-2.7959, 1.2972, -0.9543], [2.8207, 0.3958, 0.7434]]}

Entry 7:
{"formula": "C2H6O", "method": "ωB97M-V/def2-TZVPD", "e_homo_ev": -9.91, "e_tot_ev": -4216.9693, "mol_weight_g_mol": 46.1, "homo_lumo_gap_ev": 10.838, "species": ["C", "C", "H", "H", "H", "H", "H", "H", "O"], "coordinates": [[-0.5814, 0.1983, -0.0329], [-0.9278, 0.3382, 1.2451], [1.9378, -0.4564, -0.5597], [1.0066, -0.9191, -1.6228], [0.4149, 0.3805, -0.3600], [-1.3046, -0.1010, -0.7846], [-0.1610, 0.6325, 1.9131], [-1.9689, 0.0852, 1.5669], [1.5845, -0.1582, -1.3650]]}

Entry 8:
+++
**Assignment**
Please echo the block further up with every line break kept.
**Worked solution**
Entry 1:
{"formula": "C2H6NO2S", "method": "ωB97M-V/def2-TZVPD", "e_homo_ev": -4.00, "e_tot_ev": -18590.5811, "mol_weight_g_mol": 108.1, "homo_lumo_gap_ev": 8.214, "charge": -1, "species": ["C", "C", "N", "O", "O", "S", "H", "H", "H", "H", "H", "H"], "coordinates": [[-0.3044, 1.1263, 1.1946], [0.4332, -1.3331, -1.0393], [0.6087, 0.0491, 1.3983], [1.5860, -2.3590, 1.2504], [-1.1102, -1.8526, 1.0281], [0.2401, -1.3333, 0.8098], [0.0753, 1.8145, 0.4178], [-0.3979, 1.7054, 2.1211], [-1.3094, 0.7972, 0.8989], [0.1061, -2.3033, -1.3876], [-0.1731, -0.5390, -1.4609], [1.4808, -1.1706, -1.2329]]}

Entry 2:
{"formula": "C2H6NO3Si", "method": "ωB97M-V/def2-TZVPD", "e_homo_ev": -1.63, "e_tot_ev": -17679.4637, "mol_weight_g_mol": 120.2, "homo_lumo_gap_ev": 5.362, "charge": -1, "species": ["C", "C", "N", "O", "O", "O", "Si", "H", "H", "H", "H", "H", "H"], "coordinates": [[-2.6684, -0.3385, -0.4197], [0.2068, 1.4979, 0.8098], [-0.3687, 0.2340, 1.0832], [-2.5137, 0.4687, -1.2521], [-3.1704, -1.1491, 0.2359], [0.2317, -0.7450, 0.2511], [1.5152, -1.2961, -0.4366], [-0.2135, 2.1723, 1.4361], [1.2618, 1.5771, 1.0015], [0.0458, 1.8152, -0.1766], [2.8029, -0.6653, 0.0878], [1.8371, -0.8607, -1.8730], [1.0334, -2.7106, -0.7474]]}

Entry 3:
{"formula": "C2H6NOS", "method": "ωB97M-V/def2-TZVPD", "e_homo_ev": -2.89, "e_tot_ev": -16545.1750, "mol_weight_g_mol": 92.1, "homo_lumo_gap_ev": 7.030, "charge": -1, "species": ["C", "S", "H", "H", "H", "C", "N", "O", "H", "H", "H"], "coordinates": [[-2.1003, 1.6563, -1.1245], [-0.5933, 0.6685, -0.7617], [-2.0801, 2.6812, -0.7657], [-2.9557, 1.0915, -0.7611], [-2.1996, 1.7514, -2.2077], [2.2294, -1.4036, 1.2397], [1.1818, -1.2876, 0.4129], [2.4194, -2.3069, 2.0403], [2.9864, -0.6262, 1.0903], [0.3758, -1.8613, 0.6269], [0.7361, -0.3633, 0.2106]]}

Entry 4:
{"formula": "C2H6NP", "method": "ωB97M-V/def2-TZVPD", "e_homo_ev": -8.56, "e_tot_ev": -12945.7112, "mol_weight_g_mol": 75.1, "homo_lumo_gap_ev": 7.995, "species": ["C", "C", "N", "P", "H", "H", "H", "H", "H", "H"], "coordinates": [[0.1956, 0.3278, -1.1514], [1.0222, 0.8305, -0.0111], [0.4467, -0.4407, -0.0362], [-1.2623, -0.7510, 1.5353], [-0.7719, 0.7574, -1.1020], [0.4922, 0.0636, -2.1864], [2.0856, 0.8144, -0.2979], [0.5430, 1.6589, 0.7171], [-0.4006, -1.8209, 1.8613], [-2.3503, -1.4401, 0.6714]]}

Entry 5:
{"formula": "C2H6NP", "method": "ωB97M-V/def2-TZVPD", "e_homo_ev": [-9.02, -7.89], "e_tot_ev": -12944.6016, "mol_weight_g_mol": 75.1, "homo_lumo_gap_ev": [8.892, 7.087], "species": ["C", "C", "N", "P", "H", "H", "H", "H", "H", "H"], "coordinates": [[-0.2630, -1.3057, -0.0116], [-1.2397, -0.2841, 0.2674], [0.2587, 2.0849, 0.1907], [1.4791, 1.3399, -0.3071], [0.7587, -0.8286, -0.4616], [0.1575, -1.6480, 0.9628], [-0.4533, -1.8697, -0.9328], [-1.0846, 0.1200, 1.2540], [-1.9341, 0.0646, -0.4187], [2.3207, 2.3267, -0.5431]]}

Entry 6:
{"formula": "C2H6NS2", "method": "ωB97M-V/def2-TZVPD", "e_homo_ev": -14.19, "e_tot_ev": -25322.6380, "mol_weight_g_mol": 108.2, "homo_lumo_gap_ev": 10.448, "charge": 1, "species": ["C", "C", "N", "S", "S", "H", "H", "H", "H", "H", "H"], "coordinates": [[-0.5202, 0.0380, -0.5205], [0.5612, 0.3191, 0.4513], [0.0350, -1.0919, 0.1429], [-2.4120, 0.3898, -0.0001], [2.1304, 0.7693, -0.2415], [-0.1914, 0.4077, -1.4396], [0.2147, 0.7094, 1.4017], [-0.5796, -1.5098, 0.8462], [0.7370, -1.7247, -0.4294], [-2.7959, 1.2972, -0.9543], [2.8207, 0.3958, 0.7434]]}

Entry 7:
{"formula": "C2H6O", "method": "ωB97M-V/def2-TZVPD", "e_homo_ev": -9.91, "e_tot_ev": -4216.9693, "mol_weight_g_mol": 46.1, "homo_lumo_gap_ev": 10.838, "species": ["C", "C", "H", "H", "H", "H", "H", "H", "O"], "coordinates": [[-0.5814, 0.1983, -0.0329], [-0.9278, 0.3382, 1.2451], [1.9378, -0.4564, -0.5597], [1.0066, -0.9191, -1.6228], [0.4149, 0.3805, -0.3600], [-1.3046, -0.1010, -0.7846], [-0.1610, 0.6325, 1.9131], [-1.9689, 0.0852, 1.5669], [1.5845, -0.1582, -1.3650]]}

Entry 8: